Critical Response to Iodine: An Essential Nutrient and Holistic Option for Detoxing Heavy Metals and Halogens by @truthproductions

in #steemstem7 years ago (edited)

Iodine: An Essential Nutrient and Holistic Option for Detoxing Heavy Metals and Halogens”. It was a relatively short article that was making a lot of claims about Iodine without really using any scientific sources that back those claims up. I will go through each claim and see what science has to say about it (including proper in-text citation).
First claim:While searching through steem for some good reads I stumbled upon a post written by @truthproductions. It was titled “

Iodine is an essential nutrient. The body does not make iodine, so you have to consume it.

Well, yes, iodine cannot be made by the body. If you take a look at a periodic table of elements – like this one – you will find an “I” in row 5, of the second column from the right. This means that iodine is one of the elements and if our body could make them, well, that would be a scientific wonder.

The modern food supply is no longer a reliable source of iodine, and 95% of Americans are deficient in it.

I was trying really hard to find information suggesting such a high level of iodine deficiency in Americans today. However, the only information I could find stated that there is no iodine deficiency in America (1). However, the same source states that roughly 40% of the world´s population is at risk for iodine deficiency. Another source states that due to salt iodization, deficiency in America and the developed world is rare (2). Yet another source states that Americans generally get enough iodine through iodized salt (3). I did find some scientific reviews that stated iodine deficiencies is still a concern in developed, European countries (4). In conclusion, yes, our body cannot make iodine. However, Americans get enough iodine through iodized salt and other nutritional sources. Iodine deficiency is still a concern in certain regions of the world.

There are iodine receptors in every cell of the body. Iodine stimulates the production of hormones, the body’s chemical messengers.

The first part is wrong. Not every cell in the body has iodine receptors. The receptors in the cell are for thyroid hormones (more specifically T3), which behave like steroid hormones and are nuclear transcription factors (5). The second part is a little bit more tricky to judge.


Chemical structure of T3 - Source

Word for word, this is probably more wrong than right. Iodine is needed to produce certain steroid hormones, the thyroid hormones T3 and T4, whose function I already mentioned (6). It is more an ingredient than stimulus. Yes, hormones are chemical messengers in our body. However, not the only ones. As a matter of fact, the all so demonized radicals are also chemical messengers (for example NO) (7). So that statement is somewhat misleading.

Because we live in an increasingly toxic world, iodine supplementation is crucial. Pharmaceuticals, food, water, and air contain high levels of heavy metals like mercury, lead, cadmium, and arsenic, and the halogens chlorine, fluorine, and bromine.

A scientific review confirms that concentration of endocrine disrupters and heavy metals increase in the developed world (8). I would also add soil to the list of things that contain heavy metals, as well as ourselves. Some metals are actually very important for us (like you would not be able to live without iron or calcium) (8). Well, if you are worried about halogens, you really should worry about iodine also, since it is a halogen, too! A definition of "high levels of heavy metals" would be nice.

All of these elements compete for the iodine receptor sites in the body.

- - -
(1)
The following is a PBE-GGA calculation of a relaxed CaBiAsO5 crystal, from Materials Project.

Cell and atoms, written as CIF:
```
data_CaBiAsO5
_chemical_formula_sum 'Ca4 Bi4 As4 O20'
_space_group_name_H-M_alt 'P 21 21 21'
_space_group_IT_number 19
_space_group_name_Hall 'P 2ac 2ab'
_cell_length_a 7.099
_cell_length_b 7.345
_cell_length_c 9.436
_cell_angle_alpha 90.00
_cell_angle_beta 90.00
_cell_angle_gamma 90.00
loop_
_atom_site_label
_atom_site_fract_x
_atom_site_fract_y
_atom_site_fract_z
Ca1 0.005 0.191 0.160
Bi1 0.237 0.777 0.987
As1 0.051 0.359 0.828
O1 0.015 0.372 0.370
O2 0.027 0.544 0.945
O3 0.156 0.197 0.933
O4 0.172 0.822 0.734
O5 0.210 0.399 0.694
```

Calculated values
**DFT formation energy**: -2.175 eV/atom
**Total moment**: 0.00 μB per cell
**Total energy**: -197.023 eV per cell

=====

(2)
The following is a PBE-GGA calculation of a relaxed Na2Cu3Bi2As2O13 crystal, from Materials Project.

Cell and atoms, written as CIF:
```
data_Na2Cu3Bi2As2O13
_chemical_formula_sum 'Na4 Cu6 Bi4 As4 O26'
_space_group_name_H-M_alt 'C 1 2 1'
_space_group_IT_number 5
_space_group_name_Hall 'C 2y'
_cell_length_a 9.962
_cell_length_b 5.227
_cell_length_c 13.024
_cell_angle_alpha 90.00
_cell_angle_beta 108.23
_cell_angle_gamma 90.00
loop_
_atom_site_label
_atom_site_fract_x
_atom_site_fract_y
_atom_site_fract_z
Na1 0.164 0.000 0.076
Cu1 0.000 0.100 0.500
Cu2 0.179 0.575 0.668
Bi1 0.157 0.596 0.398
As1 0.098 0.078 0.784
O1 0.000 0.628 0.000
O2 0.058 0.116 0.324
O3 0.079 0.161 0.904
O4 0.149 0.848 0.561
O5 0.152 0.355 0.543
O6 0.158 0.762 0.789
O7 0.233 0.262 0.757
```

Calculated values
**DFT formation energy**: -1.425 eV/atom
**Total moment**: 4.77 μB per cell
**Total energy**: -237.554 eV per cell

=====

(3)
The following is a PBE-GGA calculation of a relaxed Cu2BiAsO6 crystal, from Materials Project.

Cell and atoms, written as CIF:
```
data_Cu2BiAsO6
_chemical_formula_sum 'Cu8 Bi4 As4 O24'
_space_group_name_H-M_alt 'P n m a'
_space_group_IT_number 62
_space_group_name_Hall '-P 2ac 2n'
_cell_length_a 12.488
_cell_length_b 5.294
_cell_length_c 7.751
_cell_angle_alpha 90.00
_cell_angle_beta 90.00
_cell_angle_gamma 90.00
loop_
_atom_site_label
_atom_site_fract_x
_atom_site_fract_y
_atom_site_fract_z
Cu1 0.128 0.250 0.218
Cu2 0.194 0.750 0.455
Bi1 0.057 0.250 0.650
As1 0.127 0.750 0.975
O1 0.003 0.750 0.065
O2 0.089 0.501 0.389
O3 0.121 0.750 0.756
O4 0.200 0.011 0.056
```

Calculated values
**DFT formation energy**: -1.397 eV/atom
**Total moment**: 0.00 μB per cell
**Total energy**: -225.133 eV per cell

=====

(4)
The following is a PBE-GGA calculation of a relaxed Cu6BiAs3O21 crystal, from Materials Project.

Cell and atoms, written as CIF:
```
data_Cu6BiAs3O21
_chemical_formula_sum 'Cu12 Bi2 As6 O42'
_space_group_name_H-M_alt 'P 63/m'
_space_group_IT_number 176
_space_group_name_Hall '-P 6c'
_cell_length_a 13.8826
_cell_length_b 13.8826
_cell_length_c 5.7827
_cell_angle_alpha 90.00
_cell_angle_beta 90.00
_cell_angle_gamma 120.00
loop_
- - -

As I already said, there are no iodine receptors. It is more accurate to say that heavy metals are interfering with the synthesis of thyroid hormone, which can cause disruptions in hormone homeostasis (9). Bromine and chlorine can actually compete with iodine for uptake into the thyroid (by competing to be taken up by a transporter) (10). A scientific article states that enocrine disrupters like bisphenol A (chemically similar to estrogen and steroid hormones in general) can bind the thyroid hormone receptors (11). The same article suggests that halogenated derivatives of bisphenol A have even higher binding affinities for thyroid receptors. Why are people taking iodine pills when exposed to radiation? Is that to prevent heavy metals to compete for iodine receptors? No. Taking potassium iodide pills as a prevention against radioactivity aims to saturate the thyroid gland with non-radioactive iodine, so that it does not absorb radioactive iodine when exposed to it (12)

Hormonal dysfunctions manifest as metabolic disorders and diseases such as:

  • Diabetes
  • Cancer
  • Hyper- and hypothyroidism
  • Goiter
  • Cystic conditions

Yes, hormonal dysfunctions CAN manifest as these disorders. That is common knowledge I would say. However, this list is very vague and repetitive. For example, goiter is a symptom of hypothyroidism (3).

With enough iodine in the system, hormone production and enzyme activity runs more efficiently and metabolism is optimized.

Apart from very vague language this is mostly correct. The key here is enough iodine, not too little, but also not too much. The vague language actually implies some dangerous conclusions: iodine is responsible for all enzymes and the more iodine the better. First of all, iodine is not the main regulator for all enzymes. Second of all, iodine can be harmful. Too much iodine can actually cause hypothyroidism, as well as hyperthyroidism and other diseases among which are Hashimoto disease, Graves disease, certain thyroid cancers and thyrotoxicosis (2).

iodine supplementation immediately begins the excretion of halogens and heavy metals.

I could not find any scientific source dealing with iodine and its role on heavy metal excretion. In such a case it is better to not make any statements because it is probably more fiction than fact.


Iodine: An Essential Nutrient and Holistic Option for Detoxing Heavy Metals and Halogens is not scientific at all - luckily they do not claim to be. However, almost every statement made in this post seems to be half-truisms or just false information.I have to say that I like the fact that this group is trying to help people. However, this article is not valuable information. Additionally, they have re-posted this post from another account.
As always,
Cheers @lesshorrible!


Upvote for every debunking of pseudoscience.

It's incredible how those people often can't even write the title properly:
for Detoxing Heavy Metals and Halogens.

Halogens: F, Cl, Br, I (just to mention once more, for bot-like users who go to comments dirrectly)

How it detoxifies from itself?
Is that an annihilating self-destroying antimatter Iodine, or the black-ops element pretending to be halogen but actually it's an alkaline or whatever.

Haha, yeah, I think you have a great upvoting strategy! However, I gotta say that Iodine can be used to treat halide poisoning (according to someone in steemstem chat)
Thanks for the comment. Cheers!

Hm... That is interesting...

Regular Google, halide poisoning: 137,000
But "halide poisoning" iodine on Scholar: 5 hits?

Strange disproportion between "Detoxicate your body Now" and recognition of this threat

I tried to find some articles about halide poisoning and could not find any yesterday but some today. It seems like halide poisoning is an industrial and not really a health problem. Did you find a review article on this??

I will now take the statement back that iodine can be used to treat halide poisoning. Thanks for correcting me. Cheers!

I found in something in that loop diurhetics could be used.

I'm not sure if the iodine in some form could act as a diuretic.

This is why I like steemSTEM community as it provides us some daily challenges (write a nice post, read posts, find some comments...)

Long Live the SteemIt! :D

Yes very true!! There is sadly a lot of rubbish now, though. Like posts entirely based on wikipedia. But steemstem is awesome. Thanks mate! Cheers!

You're not even going to read the articles yourself and apply your own logic and reasoning?

So you have MORE people confirming the information we present? Sources you trust?

Thank you for pointing out the trouble that people selling these remedies are bringing to us. We have to counter their bad information with correct and accurate information. Iodine comes in many forms and each has its own unique set of properties when it comes to the human body and the endocrine system. Lesshorrible is correct in pointing out that iodine deficiency is relatively unheard of in the US, but you see the dishonest tactics used to try to sell their point out to gullible customers. Don't fall for their scams. Rely on evidence to make your decisions about your health. Speak with your physician.

We don't sell anything, and to suggest that we are trying to use people for personal gain is slander and libel.

It might be more accurate to say OTHER Halogens, but honestly it seemed obvious that anyone would understand it is referring to other halogens.

Hm, let's check... "Chlorine gas poisoning", Enter

There is no antidote for chlorine poisoning

Fluoride poisoning, Enter

Oral administration of a high dose of CaCl2 or MgSO4 is a simple, safe, and effective adjunctive method for treating severe oral fluoride poisoning

Bromine poisoning treatment, Enter:

There are no specific antidotes or protocols for bromide poisoning of the body. Although administering chloride (or dietary salt loading protocol) coupled with fluids can help the body to excrete bromide more quickly.

Please, be precise what do you mean by "detoxication" and "halogens". Do you mean halogens as elements or some salts of halogens or halides or what?

If you write "Detoxing Halogens" it's equal to label "protecting you from animals".
What animals? Bugs, dogs, bears, sharks, elephants...? Do you count unicellular animals as animals? Will it stop them, repel them, kill them?

You need to be more precise if you want people to understand what you want to say.

You're saying you can't understand information unless it is presented to you in a very particular and limited format? Further, that you are unwilling or unable to research this topic for yourself?

Children are more intelligent than that.

I'm asking a very simple question: what do you mean when you say "detoxification" and "halogen"?

If you inhale Cl gas for example *(it's halogen)
with the moisture in your lungs, it makes an acid, HCl,
that's why it's "toxic", a proven chemical weapon used in WWI.
And there is no way to "do detox" because it's dissolving your lung tissue.

So again, please explain to us what do you mean when you say "halogen" and when you say "detoxification"?

Are you asking because you want to learn more about iodine and expand your awareness, or because you want to attack and dominate?

I'm doing science for a living for 8 years. I've done several "first time ever" things and domination on SteemIt post is not particularly interesting for me. I only kindly asked you to tell us what do you mean when you say "detoxicating halogens".

Because when I hear halogen, I'm thinking about F, Cl, Br, I and At.
And when I type treatment after poisoning caused by those - I don't get Iodine as the solution.

I would always be extremely sceptical about everything someone says/writes, who has "truth" in his name - you can almost be sure, he will write about literally everything except the truth (whatever this may be).

Thanks for deconstructing it.

Are you going to do research to come to your own conclusions, or base your perception of the truth on what someone else tells you?

the original contentI think you didn't just debunked myths from @truthproductions ' article but exposed by @gardenofeden too. Seems like somebody's a plagiarist. Not so truthful huh...

I think they are the same organisation. However posting the same things should get you @cheetah upvote and @steemcleaners´attention. Cheers

I am getting steemcleaners on this

Yes you definitely should :) Apparently you'll get rewarded doing so too. Though I think they're a little slow due to the recent backlogs, you should totally report it here. And once again, congrats for being curied- I like your detailed analysis.

This amazing post was nominated to, and upvoted by @curie. Support what we do by voting Curie as a witness

Haha, we will see. I just dont want them to abuse steem and spread false info. Thank you for your engagement! Cheers!

Again, it is not abuse to post content we own the rights to, nor is it false info. You are neglecting to do thorough research.

These crystal structures were left in the page by mistake:
........
No. 1
## ScTc2Mo (PBE)

Data for crystalline ScTc2Mo at its relaxed geometry.

electronic total energy: -9.65 eV per atom
V: 63.5 Å³/f.u.
crystal system: cubic

a = 4.4784 Å, b = 4.4784 Å, c = 4.4784 Å
α = 60.00°, β = 60.00°, γ = 60.00°
Fractional coordinates of all 4 atoms:
Sc: 0.0000 0.0000 0.0000
Tc: 0.2500 0.2500 0.2500
Tc: 0.7500 0.7500 0.7500
Mo: 0.5000 0.5000 0.5000

No. 2
## MoSe2 (PBE)

Data for crystalline MoSe2 at its relaxed geometry.

electronic total energy: -6.62 eV per atom
V: 122.0 Å³/f.u.
crystal system: trigonal

a = 3.3269 Å, b = 3.3269 Å, c = 25.4514 Å
α = 90.00°, β = 90.00°, γ = 120.00°
Fractional coordinates of all 6 atoms:
Mo: 0.6667 0.3333 0.1518
Mo: 0.3333 0.6667 0.8482
Se: 0.3333 0.6667 0.2175
Se: 0.6667 0.3333 0.9139
Se: 0.3333 0.6667 0.0861
Se: 0.6667 0.3333 0.7825

No. 3
## MoSe2 (PBE)

Data for crystalline MoSe2 at its relaxed geometry.

maximum piezoelectric response: 0.3 C/m²
electronic total energy: -6.62 eV per atom
V: 169.9 Å³/f.u.
crystal system: hexagonal

a = 3.3269 Å, b = 3.3269 Å, c = 17.7257 Å
α = 90.00°, β = 90.00°, γ = 120.00°
Fractional coordinates of all 3 atoms:
Mo: 0.0000 0.0000 0.0000
Se: 0.3333 0.6667 0.0944
Se: 0.3333 0.6667 0.9056

No. 4
## MoSe2 (PBE)

Data for crystalline MoSe2 at its relaxed geometry.

electronic total energy: -6.62 eV per atom
V: 68.5 Å³/f.u.
crystal system: hexagonal

a = 3.3287 Å, b = 3.3287 Å, c = 14.2726 Å
α = 90.00°, β = 90.00°, γ = 120.00°
Fractional coordinates of all 6 atoms:
Mo: 0.0000 0.0000 0.2500
Mo: 0.0000 0.0000 0.7500
Se: 0.3333 0.6667 0.3671
Se: 0.6667 0.3333 0.6329
Se: 0.6667 0.3333 0.8671
Se: 0.3333 0.6667 0.1329

No. 5
## Mo9Se11 (PBE)

Data for crystalline Mo9Se11 at its relaxed geometry.

electronic total energy: -7.28 eV per atom
spin magnetization: 0.000 μB per atom
V: 452.8 Å³/f.u.
crystal system: orthorhombic
distance to the lowest polymorph of the same formula: 16 meV/atom

a = 9.0240 Å, b = 9.0240 Å, c = 11.1789 Å
α = 90.00°, β = 90.00°, γ = 95.79°
Fractional coordinates of all 40 atoms:
Mo: 0.4816 0.9007 0.3702
Mo: 0.5184 0.0993 0.8702
Mo: 0.9007 0.4816 0.6298
Mo: 0.0993 0.5184 0.1298
Mo: 0.5184 0.0993 0.6298
Mo: 0.4816 0.9007 0.1298
Mo: 0.0993 0.5184 0.3702
Mo: 0.9007 0.4816 0.8702
Mo: 0.6930 0.9272 0.7500
Mo: 0.3070 0.0728 0.2500
Mo: 0.9272 0.6930 0.2500
Mo: 0.0728 0.3070 0.7500
Mo: 0.3531 0.6469 0.2500
Mo: 0.6469 0.3531 0.7500
Mo: 0.8220 0.1780 0.6285
Mo: 0.1780 0.8220 0.1285
Mo: 0.1780 0.8220 0.3715
Mo: 0.8220 0.1780 0.8715
Se: 0.4139 0.8716 0.7500
Se: 0.5861 0.1284 0.2500
Se: 0.8716 0.4139 0.2500
Se: 0.1284 0.5861 0.7500
Se: 0.9441 0.7081 0.4818
Se: 0.0559 0.2919 0.9818
Se: 0.7081 0.9441 0.5182
Se: 0.2919 0.0559 0.0182
Se: 0.0559 0.2919 0.5182
Se: 0.9441 0.7081 0.0182
Se: 0.2919 0.0559 0.4818
Se: 0.7081 0.9441 0.9818
Se: 0.3661 0.2795 0.7500
Se: 0.6339 0.7205 0.2500
Se: 0.2795 0.3661 0.2500
Se: 0.7205 0.6339 0.7500
Se: 0.6544 0.3456 0.5176
Se: 0.3456 0.6544 0.0176
Se: 0.9879 0.0121 0.7500
Se: 0.0121 0.9879 0.2500
Se: 0.6544 0.3456 0.9824
........

We disclose that we are a branch of the Garden of Eden - that is fully transparent.

It is not abuse to repost content if we own the rights to it. This is well over a year old and is important and valuable.

Live Truth Productions is a multimedia publishing house & more from the Garden of Eden sustainable ecovillage!

We disclose that in every single one of our articles.

Did you even look at the article?

Yeah, you are still getting rewards twice for the same article. That is the point. Cheers

The article is over a year old and not even visible on the Steemit blog anymore. There is nothing abusive about reposting content, given that we offer disclosure and extra information in reposting it.

Suggesting abuse disregards not only our dedicated support for this platform, but also where our resources go. Your point is to try to damage us.

Man! Such a great article.

I'm @deholt brother and I can't understand everything as you guys do, but this is such a great thing for science.


Haha lol, your entire fam on steemit?? :D Cool thing. Thank you for the feedback! I sadly cannot completely understand your Spanish posts. Mucho gusto espanol pero hablo solo un poquito.....

Quite interesting article. I would like to say that Iodine other trace elements is needed in the body in tolerable quantity (PPM). Deficiency may result in goitre. One of the best ways to consume iodine is by using iodized salt. Here in Nigeria, since 2005 efforts have been ongoing through awareness to encourage the use of Iodized salt and discourage the use of non iodized salts

Thank you for sharing your experience. Cheers!

This is what we learned at school, too. And that is why the salt won in our country (Austria) gets iodized, too, for health care.

Will read it later. First of all, my vote. :)

Haha thank you! Always appreciated, especially from someone who was there from day one! Cheers!

Back again. Now I spent quite a while reading here. You really did a good job. There's so much fake and lies around and patients look fo remedies and pay high sums for useless or even harmful stuff. Like in this case, obviously.

Iodine gave me a very special but vey uncomfortale experience a long time ago, in a hospital. Since tha that day I know that I have a iodine allergy ... :) Cheers!

That is very unfortunate! I dont have any allergies but a few friends do and I know that it can get pretty nasty. Glad you are fine though!
I mean, iodine still is important but it is not the one thing that will make you healthy forever. And again, too much is possible and just as harmful as too little. Thank you @martinamartini, always value your input. Cheers!

Maybe your essays help me to explore what happened then. It‘s the only allergy I have (as far as I know) and the situation arouse with a medical control investigation and they gave me liqid iodine iv and I suppose it was overdosed. But who will ever know. I think it was about two hours later... All at a sudden I got cramps in my whole body and was so busy with my pains that I could not ask for help. Another patient called a nurse and they gave me some antidot. I would never allow doctors to give me another infusion like in this case (health control) any more. I think iodine tablets might not be that strong and harmful. But life has shown me that it is better to stay far from medecins... Cheers!

That sounds painful. Let me actually get you a link to a google scholar search for "iodine allergy". If you have some free time you can browse through some of the articles and maybe you find some answers here. I do think medicine can be helpful, however, many doctors tend to prescribe drugs when they are not necessary, or do not commit as much time to a patient as they should. But that is a systemic error that will probably need a lot of time to be fixed... Hope you are well. Cheers!

Oh, thank youj so much. That incident, it is long forgotten. What remained is my sceptical attitude versus doctors... It was not my only strange experience with the so-called conventional medicine. You're in my Steemify register so I won't miss your next articles.

I love Infowars and they sell iodine and it is wonderful for millions of people who buy them and I am becoming stronger and stronger.

Iodine is needed by our body. It’s not a magical cure to every disease. I was not agreeing with this article and its purpose. Do what you want to, just don’t harm others. Cheers!

Iodine has been reduced in our foods and in our bodies for the past few decades. It is a big problem.

Well, Himalayan uber-salt is still NaCl, not NaI. Cheers